-- Source --
........
(1)
C21H28NPW | the ωB97M-V functional and the def2-TZVPD basis

Computed properties:
2S+1: 3
E_HOMO (spin up / spin down) in eV: -13.161 / -13.752
E_LUMO (spin up / spin down) in eV: -7.46 / -7.34
Charge: +2
Orbital gap (spin up / spin down) in eV: 5.6994 / 6.4120
Energy relative to the best compared isomer or geometry (same formula, charge and spin) in kJ/mol: 0.0
Total energy in eV: -34814.650

Structure (XYZ):
```
52
C21H28NPW, DFT the ωB97M-V functional and the def2-TZVPD basis
C 0.551 3.033 -2.757
C -0.665 2.713 -2.166
C -0.831 1.506 -1.479
C 0.239 0.615 -1.378
C 1.499 0.978 -1.889
C 1.627 2.169 -2.610
C -2.117 1.127 -0.826
C -2.446 -0.357 -0.969
N -2.132 -0.908 -2.349
W -0.094 -1.205 -0.306
C 2.672 0.085 -1.653
P 2.178 -1.456 -0.727
H -1.508 3.400 -2.244
H 2.587 2.407 -3.061
H 0.661 3.960 -3.324
H 3.446 0.579 -1.040
H 3.147 -0.240 -2.595
H -2.139 1.411 0.239
H -2.964 1.664 -1.291
H -2.181 -1.091 -0.138
C 3.515 -1.596 0.474
C 2.572 -2.756 -1.935
H -3.542 -0.419 -0.902
C -3.423 -1.177 -3.105
C -1.265 -2.111 -2.400
H 0.857 -2.186 0.745
H -4.022 -1.937 -2.590
H -3.951 -0.217 -3.167
H -3.136 -1.493 -4.116
H -1.472 -2.581 -3.378
H -0.170 -1.850 -2.441
H -1.575 -2.825 -1.620
H 3.667 -2.861 -1.954
H 2.114 -3.702 -1.616
H 2.199 -2.481 -2.931
H 4.377 -2.076 -0.019
H 3.792 -0.598 0.852
H 3.176 -2.221 1.314
H -1.800 -0.156 -2.984
C -0.094 -0.461 1.558
C -0.205 0.198 2.636
C -0.242 0.781 3.916
C -1.381 1.483 4.405
C -1.420 1.961 5.718
C -0.325 1.777 6.576
C 0.819 1.120 6.104
C 0.873 0.638 4.797
H -2.238 1.629 3.742
H -2.312 2.477 6.081
H -0.363 2.145 7.605
H 1.678 0.977 6.764
H 1.765 0.126 4.434
```

---

(2)
C21H28O21 | the ωB97M-V functional and the def2-TZVPD basis

Computed properties:
2S+1: 1
E_HOMO in eV: -10.655
SMILES string: O=C1OCCO1.O=C1OCCO1.O=C1OCCO1.O=C1OCCO1.O=C1OCCO1.O=C1OCCO1.O=C1OCCO1
E_LUMO in eV: -0.33
Charge: 0
Orbital gap in eV: 10.3300
Energy relative to the best compared isomer or geometry (same formula, charge and spin) in kJ/mol: 333.2
Total energy in eV: -65225.460

Structure (XYZ):
```
70
C21H28O21, DFT the ωB97M-V functional and the def2-TZVPD basis
O 17.460 10.416 11.010
C 18.230 11.354 10.807
O 19.562 11.325 10.933
C 19.972 12.699 10.889
C 18.915 13.301 9.917
O 17.826 12.529 10.364
H 20.058 13.077 11.908
H 20.984 12.770 10.489
H 19.117 13.249 8.847
H 18.718 14.339 10.184
O 12.959 14.277 13.447
C 12.736 13.223 14.022
O 11.861 12.289 13.626
C 12.028 11.050 14.362
C 12.708 11.622 15.610
O 13.289 12.816 15.115
H 11.136 10.455 14.556
H 12.707 10.395 13.817
H 13.519 11.043 16.051
H 11.940 11.752 16.372
O 11.097 7.783 14.192
C 11.004 7.357 13.037
O 9.974 6.575 12.646
C 10.091 6.237 11.323
C 11.055 7.230 10.800
O 11.618 7.725 11.975
H 10.571 5.262 11.242
H 9.149 6.064 10.803
H 10.696 8.061 10.192
H 11.741 6.610 10.223
O 13.115 8.809 8.797
C 13.476 9.814 9.502
O 12.803 10.154 10.582
C 13.399 11.178 11.193
C 14.343 11.792 10.109
O 14.476 10.698 9.270
H 12.581 11.847 11.459
H 14.009 10.975 12.074
H 15.299 12.191 10.449
H 13.844 12.650 9.659
O 17.316 9.868 5.611
C 16.651 10.774 6.010
O 17.060 11.706 6.844
C 16.078 12.703 6.998
C 14.951 12.196 6.220
O 15.432 11.083 5.612
H 15.822 12.905 8.038
H 16.369 13.678 6.607
H 14.805 12.962 5.457
H 14.052 11.991 6.801
O 7.079 9.078 12.836
C 7.602 9.755 11.972
O 8.789 9.647 11.595
C 9.079 10.480 10.463
C 7.783 11.167 10.183
O 6.995 10.823 11.360
H 9.842 11.125 10.900
H 9.350 9.845 9.619
H 7.191 10.782 9.352
H 8.161 12.185 10.091
O 8.427 15.048 11.636
C 9.440 15.032 10.968
O 10.555 14.427 11.352
C 11.573 14.653 10.406
C 10.737 15.064 9.238
O 9.574 15.660 9.776
H 12.388 15.321 10.684
H 12.058 13.709 10.155
H 10.642 14.252 8.517
H 11.292 15.787 8.641
```

---

(3)
C21H28O7SV | the ωB97M-V functional and the def2-TZVPD basis

Computed properties:
2S+1: 1
E_HOMO in eV: -11.084
E_LUMO in eV: -9.61
Charge: +1
Orbital gap in eV: 1.4716
Total energy in eV: -73069.324

Structure (XYZ):
```
58
C21H28O7SV, DFT the ωB97M-V functional and the def2-TZVPD basis
C -1.919 2.069 3.432
........

-- To do --
Print only the last part of the entries above, starting with the line that has "-1.620".

-- Reply --
H -1.575 -2.825 -1.620
H 3.667 -2.861 -1.954
H 2.114 -3.702 -1.616
H 2.199 -2.481 -2.931
H 4.377 -2.076 -0.019
H 3.792 -0.598 0.852
H 3.176 -2.221 1.314
H -1.800 -0.156 -2.984
C -0.094 -0.461 1.558
C -0.205 0.198 2.636
C -0.242 0.781 3.916
C -1.381 1.483 4.405
C -1.420 1.961 5.718
C -0.325 1.777 6.576
C 0.819 1.120 6.104
C 0.873 0.638 4.797
H -2.238 1.629 3.742
H -2.312 2.477 6.081
H -0.363 2.145 7.605
H 1.678 0.977 6.764
H 1.765 0.126 4.434
```

---

(2)
C21H28O21 | the ωB97M-V functional and the def2-TZVPD basis

Computed properties:
2S+1: 1
E_HOMO in eV: -10.655
SMILES string: O=C1OCCO1.O=C1OCCO1.O=C1OCCO1.O=C1OCCO1.O=C1OCCO1.O=C1OCCO1.O=C1OCCO1
E_LUMO in eV: -0.33
Charge: 0
Orbital gap in eV: 10.3300
Energy relative to the best compared isomer or geometry (same formula, charge and spin) in kJ/mol: 333.2
Total energy in eV: -65225.460

Structure (XYZ):
```
70
C21H28O21, DFT the ωB97M-V functional and the def2-TZVPD basis
O 17.460 10.416 11.010
C 18.230 11.354 10.807
O 19.562 11.325 10.933
C 19.972 12.699 10.889
C 18.915 13.301 9.917
O 17.826 12.529 10.364
H 20.058 13.077 11.908
H 20.984 12.770 10.489
H 19.117 13.249 8.847
H 18.718 14.339 10.184
O 12.959 14.277 13.447
C 12.736 13.223 14.022
O 11.861 12.289 13.626
C 12.028 11.050 14.362
C 12.708 11.622 15.610
O 13.289 12.816 15.115
H 11.136 10.455 14.556
H 12.707 10.395 13.817
H 13.519 11.043 16.051
H 11.940 11.752 16.372
O 11.097 7.783 14.192
C 11.004 7.357 13.037
O 9.974 6.575 12.646
C 10.091 6.237 11.323
C 11.055 7.230 10.800
O 11.618 7.725 11.975
H 10.571 5.262 11.242
H 9.149 6.064 10.803
H 10.696 8.061 10.192
H 11.741 6.610 10.223
O 13.115 8.809 8.797
C 13.476 9.814 9.502
O 12.803 10.154 10.582
C 13.399 11.178 11.193
C 14.343 11.792 10.109
O 14.476 10.698 9.270
H 12.581 11.847 11.459
H 14.009 10.975 12.074
H 15.299 12.191 10.449
H 13.844 12.650 9.659
O 17.316 9.868 5.611
C 16.651 10.774 6.010
O 17.060 11.706 6.844
C 16.078 12.703 6.998
C 14.951 12.196 6.220
O 15.432 11.083 5.612
H 15.822 12.905 8.038
H 16.369 13.678 6.607
H 14.805 12.962 5.457
H 14.052 11.991 6.801
O 7.079 9.078 12.836
C 7.602 9.755 11.972
O 8.789 9.647 11.595
C 9.079 10.480 10.463
C 7.783 11.167 10.183
O 6.995 10.823 11.360
H 9.842 11.125 10.900
H 9.350 9.845 9.619
H 7.191 10.782 9.352
H 8.161 12.185 10.091
O 8.427 15.048 11.636
C 9.440 15.032 10.968
O 10.555 14.427 11.352
C 11.573 14.653 10.406
C 10.737 15.064 9.238
O 9.574 15.660 9.776
H 12.388 15.321 10.684
H 12.058 13.709 10.155
H 10.642 14.252 8.517
H 11.292 15.787 8.641
```

---

(3)
C21H28O7SV | the ωB97M-V functional and the def2-TZVPD basis

Computed properties:
2S+1: 1
E_HOMO in eV: -11.084
E_LUMO in eV: -9.61
Charge: +1
Orbital gap in eV: 1.4716
Total energy in eV: -73069.324

Structure (XYZ):
```
58
C21H28O7SV, DFT the ωB97M-V functional and the def2-TZVPD basis
C -1.919 2.069 3.432